This week I am scheduling trunk shows for Spring, house shopping, and taking orders for our most beloved tee,
Can I yell it any louder?!?!
Enough said, who doesn't want a bit more lovin'. I've heard of this before, dating yourself, and giving yourself the love and attention you desire AND DESERVE, but this morning a friend of mine who does so much for others told me she was shifting her focus toward loving herself and putting herself first for a bit, I said what if you were your FAVORITE partner, and what if when you totally took care of you and prioritized you, indulging in all of your preferences and THEN then were super grateful and in awe of how incredibly you took care of you and prioritized you. I know women talk about needing this, but we actually went into detail with what she would REALLY enjoy, and then she started scheduling it, not because it was convenient or nothing better to do. Because she was ultimately prioritizing her love for her self and enjoyment of her day. Again, I know I talk about this a lot, but today it really landed, how incredible. I can't wait to see how she spends her time differently and how gracious she is with herself with this new lens. You know it will influence me too, because I'm now aware of it. We are continually growing, and what a cool experiment to share with your kids, right? This is what I learned from dating myself for three months... Not a bad lesson when your daughter is breaking up with a boy in college and is all upside down....
== Crystal structures from another source follow ==
(1)
This entry pairs a crystal structure of Rb2Ba8LiSb6O2 with its computed powder diffractogram. Radiation: Cu Kα (weighted mean of Kα1 and Kα2). Structure: the GGA-PBE geometry in the Materials Project.
Kinematic intensities with the Lorentz-polarization factor, no thermal factor.

Principal peaks in the range 10 to 90 degrees two-theta, in order of falling intensity:
2θ (°)  I (rel.)
26.54  100
27.43  89
29.07  57
31.09  50
29.90  27
54.80  22

a = 9.287 Å, b = 9.288 Å, c = 10.373 Å
α = 114.80°, β = 114.72°, γ = 93.65°
Element x y z (fractional)
Rb (0.000, 0.000, 0.000)
Rb (0.500, 0.499, 0.000)
Ba (0.145, 0.051, 0.692)
Ba (0.303, 0.802, 0.299)
Ba (0.491, 0.292, 0.284)
Ba (0.552, 0.645, 0.693)
Ba (0.685, 0.185, 0.685)
Ba (0.792, 0.990, 0.284)
Ba (0.994, 0.494, 0.297)
Ba (0.999, 0.499, 0.685)
Li (0.338, 0.837, 0.693)
Sb (0.117, 0.374, 0.992)
Sb (0.243, 0.244, 0.487)
Sb (0.368, 0.868, 0.971)
Sb (0.596, 0.096, 0.966)
Sb (0.744, 0.743, 0.487)
Sb (0.874, 0.617, 0.992)
O (0.239, 0.740, 0.481)
O (0.740, 0.240, 0.480)



(2)
This entry pairs a crystal structure of GdGeRu with its computed powder diffractogram. Radiation: Cu Kα (weighted mean of Kα1 and Kα2). Structure: the GGA-PBE geometry in the Materials Project.
Kinematic intensities with the Lorentz-polarization factor, no thermal factor.

Principal peaks in the range 10 to 90 degrees two-theta, in order of falling intensity:
2θ (°)  I (rel.)
34.37  100
40.13  28
42.78  22
39.85  19
35.42  15
68.68  15

a = 7.149 Å, b = 4.494 Å, c = 7.187 Å
α = 90.00°, β = 90.00°, γ = 90.00°
Element x y z (fractional)
Gd (0.020, 0.250, 0.190)
Gd (0.480, 0.750, 0.690)
Gd (0.520, 0.250, 0.310)
Gd (0.980, 0.750, 0.810)
Ge (0.199, 0.250, 0.607)
Ge (0.301, 0.750, 0.107)
Ge (0.699, 0.250, 0.893)
Ge (0.801, 0.750, 0.393)
Ru (0.153, 0.750, 0.436)
Ru (0.347, 0.250, 0.936)
Ru (0.653, 0.750, 0.064)
Ru (0.847, 0.250, 0.564)



(3)
This entry pairs a crystal structure of Y2Al3Fe14 with its computed powder diffractogram. Radiation: Cu Kα (weighted mean of Kα1 and Kα2). Structure: the GGA-PBE geometry in the Materials Project.
Kinematic intensities with the Lorentz-polarization factor, no thermal factor.

Principal peaks in the range 10 to 90 degrees two-theta, in order of falling intensity:
2θ (°)  I (rel.)
42.75  100
36.40  46
42.28  43
47.99  32
44.12  27
41.01  25

a = 8.549 Å, b = 8.549 Å, c = 8.210 Å
α = 90.00°, β = 90.00°, γ = 120.00°
Element x y z (fractional)
Y (0.000, 0.000, 0.250)
Y (0.000, 0.000, 0.750)
Y (0.333, 0.667, 0.250)
Y (0.667, 0.333, 0.750)
Al (0.000, 0.500, 0.000)
Al (0.000, 0.500, 0.500)
Al (0.500, 0.000, 0.000)
Al (0.500, 0.000, 0.500)
Al (0.500, 0.500, 0.000)
Al (0.500, 0.500, 0.500)
Fe (0.029, 0.353, 0.750)
Fe (0.029, 0.677, 0.750)
Fe (0.166, 0.332, 0.012)
Fe (0.166, 0.332, 0.488)
Fe (0.166, 0.834, 0.012)
Fe (0.166, 0.834, 0.488)
Fe (0.323, 0.353, 0.750)
Fe (0.323, 0.971, 0.750)
Fe (0.332, 0.166, 0.512)
Fe (0.332, 0.166, 0.988)
Fe (0.333, 0.667, 0.612)
Fe (0.333, 0.667, 0.888)
Fe (0.353, 0.029, 0.250)
== The crystal structures stop here ==
I will keep you posted, but pretty sure this is an EXCELLENT idea.
Need a reminder, when you look in the mirror?! We are screen printing more of these gorgeous and super soft tees, and are happy to include yours in our printing. Fair trade and organic cotton, click here to order, one of my absolute favorite tees, I've worn for years!
This is a collaboration with Salud Shoppe, and Alison is an angel blessing this planet with her love of the human spirit and the world that sustains us.
PS. On the collaborative note,
PLEASE watch and enjoy and like and share my instagram videos if you are at all able. It's a huge boost to me getting to remain open and grow this boutique in what I hope is sustainable. I have IGTV, posts and stories featuring our new hats and gorgeous hand made earrings.
Find me here
This week's Trunk Show features effortlessly chic pieces that pair beautifully together. Joli Nu is a brand we began carrying after I met the owner, Amy, who I adore. Great style, concern for the planet, and an adventurers spirit. Just a few of my favorite things:) Hope you'll join me on Instagram Friday 10am LIVE!
Get in Touch
email: cecelia@vocabularyboutique.com
text me: 619-316-6598 for private appointments or styling questions